How to Grow and Care for Cilantro in Containers
Intro: Cilantro, also called coriander, is a strong herb used fresh or dried for culinary purposes, especially in Asian and Mexican cuisines. Cilantro's seeds (actually the plant’s tiny fruits) can be found in spice jars under the name coriander, while its fresh leaves are often referred to as cilantro (in the United States only – other English-speaking countries call the fresh leaves as coriander, as well). Cilantro grows to 20 inches tall and has tiny white flower clusters at the ends of stalks. Cilantro can be difficult to grow in kitchen gardens, especially in hotter areas. The trick is to plant cilantro in the balcony garden in the spring or fall when the weather is cooler.
Scientific Name: Coriandrum sativum
Quantum chemistry results, kept here for reference:
~~~
Entry 1:
Computed, not measured: C4H4Li2NaO5 as an isolated structure, with wB97M-V/def2-TZVPD.

CARTESIAN COORDINATES (ANGSTROEM)
O1 2.8118 -1.0133 -0.0495
C1 1.8505 -0.2125 0.0500
O2 1.9699 1.0290 -0.0850
Na1 4.8331 0.8121 -0.3832
O3 0.6379 -0.7476 0.2739
C2 -0.5021 0.0799 0.1029
C3 -1.7173 -0.8057 0.2923
H1 -0.5088 0.5245 -0.9020
H2 -0.4991 0.8944 0.8405
H3 -1.7433 -1.5845 -0.4839
H4 -1.7024 -1.2911 1.2791
O4 -2.8548 0.0377 0.1949
C4 -4.0940 -0.4949 0.2059
O5 -4.2367 -1.4685 0.9600
Li1 -5.7111 -2.2374 1.6073
Li2 -5.0654 0.0184 -1.5780

Its orbital gap is 0.2235 Eh. As for the total charge: +1. The relative energy (zero: lowest compared OMol25 entry of this formula, charge and spin) is 0.906 eV. The multiplicity is 1.

Entry 2:
Computed, not measured: a single C5H7NO2 molecule, with wB97M-V/def2-TZVPD.

CARTESIAN COORDINATES (ANGSTROEM)
O1 2.2651 -1.0684 -0.7089
C1 1.5457 -0.6446 0.1745
C2 1.2509 0.8169 0.4031
C3 -0.1027 1.0631 -0.3086
C4 -1.3191 0.1645 0.1150
C5 -1.1699 -1.2774 -0.3415
N1 -0.3080 -2.1390 0.0460
O2 0.6406 -1.3861 0.8999
H1 2.0969 1.5203 0.0419
H2 1.1958 0.9550 1.4568
H3 0.0896 0.8043 -1.3708
H4 -0.4466 2.1536 -0.1986
H5 -2.1973 0.6197 -0.3821
H6 -1.6433 0.1711 1.1781
H7 -1.8977 -1.7531 -1.0047

Its orbital gap is 0.4029 Eh. The relative energy (zero: lowest compared OMol25 entry of this formula, charge and spin) is 2.438 eV. The multiplicity is 1. As for the SMILES: O=C1CCCC=NO1.

Entry 3:
Computed, not measured: C7H22ClI2IrOP2 as an isolated structure, with wB97M-V/def2-TZVPD.

CARTESIAN COORDINATES (ANGSTROEM)
I1 1.0952 2.5611 2.3571
I2 0.6058 -1.4724 3.1974
Ir1 -0.0194 -0.2701 -1.7359
P1 -1.8601 -0.2278 -0.7734
C1 -2.6992 -0.1569 0.8097
C2 -2.6413 1.1680 -1.6547
H1 -3.7140 0.9613 -1.6158
H2 -3.6749 -1.4521 -1.6075
H3 -2.2490 1.2714 -2.6819
H4 -2.2258 -1.9156 -2.6013
H5 -2.5639 0.7786 1.3528
H6 -2.4263 2.0661 -1.0830
C3 -2.6069 -1.6769 -1.6041
H7 -3.7776 -0.2722 0.5789
H8 -2.4349 -2.5334 -0.9532
H9 -2.4043 -0.9405 1.5261
P2 1.7577 -0.2414 -0.7116
C4 2.6958 -0.1489 0.8338
C5 2.5281 -1.6825 -1.5174
H10 2.1958 1.2674 -2.5836
H11 3.6466 0.9209 -1.5414
H12 2.3934 2.0355 -0.9751
C6 2.5785 1.1455 -1.5635
H13 2.1565 -1.9106 -2.5123
H14 3.5965 -1.4707 -1.5113
H15 3.7679 -0.3295 0.5830
H16 2.4203 -0.9076 1.5933
H17 2.3542 -2.5379 -0.8696
H18 2.6388 0.8226 1.3497
Cl1 0.0267 0.0413 -4.0300
C7 -0.3968 0.9812 3.6955
O1 -0.4088 0.8230 2.1425
H19 -1.3143 1.4320 4.0502
H20 0.5727 1.7078 3.8819
H21 0.0252 0.0536 4.2911
H22 0.3618 0.1096 1.8834

Its orbital gap (alpha / beta) is 0.2872 / 0.2079 Eh. As for the total charge: +3. The relative energy (zero: lowest compared OMol25 entry of this formula, charge and spin) is 6.596 eV. The multiplicity is 6. Its expectation value of S² is 8.77.

Entry 4:
Computed, not measured: a 8-piece molecular cluster, C24H34BBr2F4N5O overall, with wB97M-V/def2-TZVPD.

CARTESIAN COORDINATES (ANGSTROEM)
B1 0.5646 5.0961 2.0990
F1 -0.6144 4.6907 2.7164
F2 1.5626 5.2963 3.1088
F3 1.0492 4.1062 1.2094
~~~
The quantum chemistry results stop here:
Plant Type: Annual herb
Light: Full sun
Water: When it comes to watering cilantro, keep the potting soil moist but not soggy. This plant benefits from mulch.
Zone: Keep cilantro in cooler weather. If temperatures rise over 75 degrees, the cilantro will "bolt," meaning it will go to seed. Give it shade or bring it into an indoor garden on warm days to prevent bolting.
Quantum chemistry results, kept here for reference
********
# 1
Below is C40H33AsBBrClF5IN3O3SV as an isolated structure, with properties calculated with ωB97M-V/def2-TZVPD.

```
91
Properties=species:S:1:pos:R:3:forces:R:3
V -0.140005 -0.368210 0.554768 -0.92 1.19 1.36
F 1.317858 -0.680999 -6.802130 0.08 -0.09 -0.16
C 0.760991 -0.152856 -5.723530 0.08 -0.08 -0.15
C 0.730902 -0.861620 -4.543525 0.06 -0.12 0.09
F 1.265014 -2.077863 -4.486251 0.06 -0.10 0.04
C 0.163648 -0.291879 -3.423827 0.05 0.09 -0.06
F 0.203339 -0.992808 -2.297311 -0.25 -0.29 0.14
C -0.419994 0.965146 -3.446779 -0.13 0.06 0.08
S -1.120772 1.742660 -2.028428 -0.02 0.03 0.09
C -0.373860 1.650540 -4.654697 -0.13 0.14 0.06
F -0.902944 2.866386 -4.761213 -0.04 0.07 0.02
C 0.212219 1.108593 -5.778242 -0.02 0.21 -0.21
F 0.241440 1.790763 -6.920999 -0.01 0.02 -0.01
Cl 5.775817 -3.406579 -0.838339 -0.09 0.04 0.00
C 4.448713 -2.285635 -0.750168 0.03 -0.13 -0.01
C 4.635586 -0.989326 -1.111210 -0.02 0.22 -0.09
C 3.576119 -0.051405 -1.022194 0.32 0.11 -0.15
I 3.837779 1.880914 -1.744032 0.01 0.00 0.02
C 2.359002 -0.408795 -0.515444 -0.51 -0.10 0.18
O 1.332302 0.397234 -0.283195 1.44 0.20 -0.67
C 2.151936 -1.788608 -0.215839 -0.14 0.15 -0.02
N 0.861763 -2.085640 0.155597 0.97 -1.03 -0.47
C 0.583462 -3.351969 0.372621 -0.02 -0.10 0.09
C 1.544099 -4.373552 0.295945 -0.14 -0.14 0.04
C 2.833799 -4.076233 -0.032623 0.12 -0.08 -0.02
C 3.172020 -2.740974 -0.326802 -0.06 -0.05 -0.01
H 5.605333 -0.671201 -1.472254 -0.06 0.02 0.01
H -0.433316 -3.596940 0.643256 -0.03 0.02 0.03
H 1.238683 -5.390604 0.505759 0.01 0.06 -0.01
H 3.591645 -4.848036 -0.083567 -0.04 0.04 -0.02
C 0.365506 -0.940365 2.544329 -0.64 0.64 0.33
C -0.186940 -0.220185 3.727866 0.18 -0.22 -0.05
C 0.589271 0.679945 4.465559 0.09 -0.03 0.01
C 0.103815 1.301077 5.601976 0.08 0.12 0.03
C -1.199350 1.062194 6.029502 -0.14 0.12 0.23
C -1.994680 0.171313 5.309642 -0.09 -0.05 -0.03
C -1.489122 -0.465634 4.189483 -0.04 0.06 -0.06
C -1.713393 1.714408 7.215932 0.06 -0.06 -0.15
N -2.121053 2.237514 8.157755 0.09 -0.12 -0.22
H 0.022900 -1.975831 2.569670 0.01 -0.11 0.00
H 1.458300 -0.930408 2.574519 0.08 -0.06 -0.09
H 1.612607 0.861782 4.153983 -0.04 0.00 0.04
H 0.732422 1.975611 6.172546 -0.01 -0.03 -0.05
H -3.005367 -0.029391 5.646571 0.06 -0.01 -0.03
H -2.103568 -1.185098 3.658250 -0.02 0.02 0.01
O -2.459493 -2.096135 1.197489 -0.01 0.06 -0.20
B -1.972179 -1.439636 0.006161 -0.18 -0.52 -0.25
O -2.169927 -2.302940 -1.127139 -0.03 0.09 0.25
C -2.695975 -3.458026 -0.603442 0.05 0.17 -0.14
C -3.016915 -4.612873 -1.272118 -0.04 -0.18 -0.10
C -3.543453 -5.665273 -0.511211 0.03 0.03 -0.05
C -3.729884 -5.539303 0.857507 0.01 0.05 0.03
C -3.388568 -4.357525 1.528157 -0.06 -0.19 0.10
C -2.870108 -3.339014 0.769902 0.03 0.29 0.10
H -2.866155 -4.698692 -2.343589 -0.03 0.01 0.14
H -3.809832 -6.594428 -1.002701 0.02 0.09 0.03
H -4.151700 -6.364537 1.419197 0.05 0.05 -0.03
H -3.529125 -4.245807 2.597563 0.02 -0.01 -0.10
Br -5.991679 2.686296 -0.788668 -0.07 0.05 0.02
C -4.383490 1.726657 -0.585759 -0.06 0.05 0.40
********
Fertilizer: Add a low-nitrogen water-soluble once a week or a slow-release fertilizer when first planted.
Pests and Diseases: Watch out for aphids, armyworms, cabbage looper caterpillars and powdery mildew, bacterial leaf spot and other fungus problems.
____________
ORCA calculation (ωB97M-V with the def2-TZVPD basis set) on C4H7LuO3 as an isolated structure.

frontier orbital gap (alpha / beta) = 6.5 / 7.9 eV
charge = +2
HOMO energy (alpha / beta) = -16.136 / -17.789 eV

Cartesian coordinates (Å):
C1 -1.154221 -0.020871 0.547310
C2 -0.727776 -1.168039 1.429470
H1 -2.216009 0.219911 0.676439
H2 -0.571198 0.887402 0.732187
H3 -1.246929 -2.092980 1.145261
H4 -0.978757 -0.926081 2.471297
H5 0.355651 -1.329525 1.354189
O1 -0.273923 -0.054568 -2.840143
Lu1 -2.102765 -1.099013 -2.747670
O2 -0.973231 -0.351945 -0.850258
C3 0.045015 0.190129 -1.649763
O3 1.821419 0.993502 -1.021107
C4 2.575184 1.262140 0.022110
H6 3.418162 1.942219 -0.213443
H7 2.029379 1.547721 0.944121

Cartesian forces, eV/Å:
0.019 0.456 1.617
0.164 -0.094 -0.096
0.247 -0.033 -0.212
-0.171 -0.147 -0.077
0.106 0.192 0.192
0.069 -0.110 -0.291
-0.270 -0.042 0.089
1.775 0.647 0.755
-0.046 -0.017 0.290
0.565 0.085 -1.477
-3.366 -1.209 -0.641
4.405 0.208 3.520
-4.740 2.935 -4.057
0.646 -1.377 0.041
0.595 -1.496 0.345
____________
Propagation: Grow cilantro from seed. Harvest the cilantro plant's seeds by cutting off the flowers after the seeds have begun to turn brown. Just like when harvesting parsley seeds, put the cilantro plant's flower heads in a paper bag and shake the seeds free. Store seeds in a cool, dry place until needed for planting. To prepare the seeds for planting, crush the seed’s husk (each husk will have two seeds inside). Soak the seeds for one to two days, and then allow them to dry. Then the seeds are ready to plant about 0.25 inches deep (they will germinate in one to three weeks). Because cilantro doesn’t transplant well, sow seeds directly into the balcony garden. If you leave the cilantro in its plant container after it goes to seed, it will often reseed itself, and you won’t have to do anything. Because cilantro is such a short-lived plant (often only living three to six weeks before going to seed), you may want to plant a few new cilantro plants several weeks apart in order to get a longer harvesting time.
Misc. Info: You can harvest the cilantro leaves about three times before it starts going to seed. Young leaves are best, but wait until it has grown at least 6 inches all and harvest the outer leaves. To keep cilantro leaves fresh for several days, place them in a jar of water (just as you would place flowers in a vase) and put them in the fridge. All parts of this container plant, even the roots, are edible.